Gogarty holds line over Green veto on third-level fees

THE GREEN Party veto on new student tuition charges or loans is non-negotiable – despite warnings from a Government task force…

THE GREEN Party veto on new student tuition charges or loans is non-negotiable – despite warnings from a Government task force that the sector is facing a deepening financial crisis.

Paul Gogarty, the Green spokesman on education told The Irish Timeslast night the party would not countenance any new student charges or loans.

Mr Gogarty said the Coalition partners had agreed in the Revised Programme for Government last year there would be no new student tuition charges during the lifetime of this Government.

He said the Green Party veto on student fees was agreed readily and without any difficulty by Fianna Fáil Ministers in the discussions. The issue was regarded as closed, he said.


The Hunt report was drawn up by the National Strategy Group for Higher Education, chaired by economist Dr Colin Hunt. It says the third-level sector needs up to €500 million extra per year until 2020 to cope with 65,000 additional students – and to allow it play a pivotal role in economic recovery.

Materials data from another source follow =
____________
A relaxed Li2FeP2S6 crystal. Source: the Materials Project, functional PBE.

Unit cell a=5.856 b=5.856 c=6.565 alpha=90.00 beta=90.00 gamma=120.00
Fractional coordinates of all 11 atoms:
Li 0.000 0.000 0.000
Li 0.000 0.000 0.500
Fe 0.667 0.333 0.000
P 0.333 0.667 0.166
P 0.333 0.667 0.834
S 0.364 0.024 0.232
S 0.364 0.340 0.768
S 0.660 0.024 0.768
S 0.660 0.636 0.232
S 0.976 0.340 0.232
S 0.976 0.636 0.768

Properties
Total magnetization (μB/f.u.): 0.0
Polymorph energy (0 for the lowest one) (meV per atom): 13
Total energy after the MP2020 corrections (eV/atom): -5.187
Volume (Å³/cell): 195.0
ΔE_f (eV per atom): -0.83

***

A relaxed LiFeRh2 crystal. Source: the Materials Project, functional PBE.

Unit cell a=4.198 b=4.198 c=4.198 alpha=60.00 beta=60.00 gamma=60.00
Fractional coordinates of all 4 atoms:
Li 0.000 0.000 0.000
Fe 0.500 0.500 0.500
Rh 0.250 0.250 0.250
Rh 0.750 0.750 0.750

Properties
Volume (Å³/cell): 52.3
ΔE_f (eV per atom): -0.12

***

A relaxed Li5FeS4 crystal. Source: the Materials Project, functional PBE.

Unit cell a=7.662 b=7.662 c=7.662 alpha=151.99 beta=127.75 gamma=60.33
Fractional coordinates of all 10 atoms:
Li 0.000 0.000 0.000
Li 0.106 0.324 0.782
Li 0.459 0.676 0.782
Li 0.541 0.324 0.218
Li 0.894 0.676 0.218
Fe 0.500 0.000 0.500
S 0.253 0.500 0.753
S 0.296 0.796 0.500
S 0.704 0.204 0.500
____________

It backs a system of student tuition charges including an income-related loan scheme; graduates would repay the fees once they reached a certain income threshold.

The report was welcomed last night by the seven university presidents. It was important, they said, that the report underlined the extent of the financial crisis facing the sector.

Bur Mr Gogarty said new tuition charges or Australian-style “study now, pay later” loan schemes could lead to a “brain drain” of students. It would also act as a barrier to those from lower-income groups concerned about building up debt.

He said the introduction of a new system to replace the €1,500 student registration charge made no sense at this time as it would see a net loss of funds.

Minister for Education Mary Coughlan will bring the Hunt report to Cabinet next month. Several Ministers including Batt O’Keeffe and Noel Dempsey back new charges. Fine Gael also supports a graduate tax. But Ms Coughlan says the Green veto is not up for negotiation.

# Next to the entry, the page also holds crystal structures
/*
Entry 1:
Entry from Materials Project: crystalline Ti3CuS6 at its relaxed geometry (PBE).

The structure in CIF format:
```
data_Ti3CuS6
_chemical_formula_sum 'Ti36 Cu12 S72'
_cell_length_a 7.060
_cell_length_b 7.060
_cell_length_c 63.486
_cell_angle_alpha 59.96
_cell_angle_beta 59.96
_cell_angle_gamma 60.00
_symmetry_space_group_name_H-M 'P 1'
_symmetry_Int_Tables_number 1
_symmetry_space_group_name_Hall 'P 1'
loop_
_atom_site_label
_atom_site_fract_x
_atom_site_fract_y
_atom_site_fract_z
S1 0.255 0.736 0.695
S2 0.255 0.255 0.637
S3 0.265 0.745 0.194
S4 0.255 0.255 0.806
S5 0.255 0.736 0.473
S6 0.745 0.745 0.141
S7 0.264 0.745 0.638
S8 0.254 0.736 0.140
S9 0.745 0.745 0.252
S10 0.736 0.255 0.473
S11 0.255 0.255 0.193
S12 0.745 0.745 0.860
S13 0.737 0.254 0.251
S14 0.745 0.265 0.860
S15 0.254 0.254 0.304
S16 0.737 0.255 0.917
S17 0.254 0.254 0.251
S18 0.265 0.745 0.416
S19 0.255 0.255 0.526
S20 0.255 0.736 0.806
S21 0.746 0.265 0.083
S22 0.255 0.255 0.695
S23 0.745 0.745 0.305
S24 0.255 0.736 0.028
S25 0.745 0.266 0.972
S26 0.255 0.255 0.473
S27 0.736 0.255 0.695
S28 0.255 0.255 0.415
S29 0.265 0.745 0.305
S30 0.255 0.255 0.082
S31 0.745 0.745 0.749
S32 0.264 0.745 0.749
S33 0.254 0.254 0.140
S34 0.745 0.745 0.918
S35 0.736 0.255 0.028
S36 0.255 0.736 0.584
S37 0.265 0.745 0.860
S38 0.745 0.264 0.527
S39 0.745 0.265 0.194
S40 0.745 0.265 0.305
S41 0.736 0.254 0.140
S42 0.255 0.255 0.584
S43 0.255 0.255 0.860
S44 0.255 0.737 0.917
S45 0.745 0.745 0.194
S46 0.254 0.737 0.251
S47 0.745 0.745 0.083
S48 0.745 0.745 0.807
S49 0.745 0.745 0.585
S50 0.736 0.255 0.584
S51 0.745 0.745 0.638
S52 0.254 0.736 0.362
S53 0.736 0.255 0.806
S54 0.745 0.745 0.527
S55 0.745 0.745 0.474
S56 0.745 0.264 0.638
S57 0.254 0.254 0.362
S58 0.265 0.746 0.083
S59 0.745 0.745 0.972
S60 0.736 0.254 0.362
S61 0.745 0.745 0.416
S62 0.745 0.264 0.749
S63 0.745 0.745 0.363
S64 0.745 0.745 0.029
S65 0.745 0.265 0.416
S66 0.266 0.745 0.972
S67 0.255 0.255 0.028
S68 0.255 0.255 0.971
S69 0.745 0.745 0.696
S70 0.264 0.745 0.527
S71 0.255 0.255 0.748
S72 0.255 0.255 0.917
Cu1 0.875 0.875 0.764
Cu2 0.875 0.875 0.319
Cu3 0.875 0.875 0.653
Cu4 0.875 0.875 0.208
Cu5 0.125 0.125 0.681
Cu6 0.125 0.125 0.792
Cu7 0.125 0.125 0.458
Cu8 0.125 0.125 0.569
Cu9 0.875 0.875 0.986
Cu10 0.875 0.875 0.542
Cu11 0.875 0.875 0.430
Cu12 0.875 0.875 0.875
Ti1 0.497 0.497 0.223
Ti2 0.496 0.496 0.001
Ti3 0.500 0.500 0.500
Ti4 0.500 0.000 0.500
Ti5 0.500 0.500 0.778
Ti6 0.497 0.497 0.944
Ti7 0.500 0.500 0.611
Ti8 0.497 0.497 0.277
Ti9 0.000 0.500 0.500
Ti10 0.497 0.002 0.056
Ti11 0.497 0.497 0.890
Ti12 0.500 0.007 0.166
Ti13 0.500 0.000 0.611
Ti14 0.006 0.500 0.388
Ti15 0.497 0.497 0.834
Ti16 0.007 0.500 0.166
Ti17 0.000 0.500 0.722
Ti18 0.500 0.500 0.556
Ti19 0.003 0.497 0.834
Ti20 0.009 0.497 0.277
Ti21 0.497 0.010 0.944
Ti22 0.500 0.500 0.667
Ti23 0.497 0.009 0.277
Ti24 0.000 0.500 0.611
Ti25 0.002 0.497 0.056
Ti26 0.500 0.000 0.722
Ti27 0.500 0.500 0.722
Ti28 0.497 0.497 0.056
Ti29 0.010 0.497 0.944
*/

Last night the university presidents said the current funding model was unsustainable.

Ned Costello, chief executive of their representative group, the Irish Universities Association, said: said: “Based on the surge in applications to the CAO and increased numbers of students going to college, there will be less funding available to support each student.

“This is before the question of further government cutbacks is even considered. It is patently obvious that a system whereby student numbers continually increase and the resources available continually fall is unsustainable.

“This is especially the case when international studies have found that our higher-education system is already one of the most efficient, globally.” Mr Costello said the universities looked forward to the report’s publication and were anxious to engage with the Minister in response to its findings.

Tom Boland, chief executive of the Higher Education Authority, said there had been a 15 per cent increase in student numbers in the past two years. The sector, he said, was making significant productivity gains, despite a series of cutbacks. But he stressed that a British-style student cap was not likely as colleges here are incentivised financially to take on more students.

Dr Hunt is a former adviser to Taoiseach Brian Cowen in the Department of Finance. Other members of the strategy group include Brigid McManus, secretary general of the Department of Education; Michael Kelly, chairman of the Higher Education Authority; Dr John Hegarty, provost at Trinity College Dublin; and Paul Rellis, managing director of Microsoft Ireland. The report did not accept the case for university designation made by some institutes of technology .

Seán Flynn

Seán Flynn

The late Seán Flynn was education editor of The Irish Times